withanadvanceddegreeinarchitecture.Hewasstillastudentwhenhedesignedandbuiltthe innovativeGandoPrimarySchool. Unliketraditionalschoolbuildings,whichuseconcrete,Kéré?sinventivedesigncombinedlocal clayandcementtoformbricks.Thematerialhelpskeepthebuildingcoolinahotenvironment.A wide,raisedmetalroofprotectsthebuildingfromrain...
13% ofparticipantswithahighschooldegreeor lesseducationdiedcomparedwithonlyapproximately5% ofcollegegraduates. Strikingly,whenlookingatraceandeducationat thesametime,theresearchersfoundthatdifferences relatedtoracealmostdisappeared:13.5% ofblack subjectsand13.2% ofwhitesubjectswithahigh schooldegreeorlessdiedduringthe...
"If a student is not sure what they want to do, graduate school is probably not a wise idea, because it does not provide opportunities for career exploration like the bachelor’s degree does," Jillene Seiver, a senior lecturer in psychology and an associate chair in the school of...
I reached out to and gained the support of colleagues. The advice from one of them has stayed with me to this day. He said: “Remember Esther, it’s the good fight!” That gave me the energy to turn my bad stress into good stress and use that energy to ...
Verified by Psychology Today What to Do as You Grow OlderOn change, loss, end-of-life, and more.Caregiving The Life-Threatening Fall: Expect One If You're 65 or Older Stan A. Goldberg Ph.D. on December 4, 2024 It's a mystery why we fall, but unless we can understand the dynam...
These materials data were left in the entry by mistake =
~~~
1.
# CePa2AlS8
Simulated powder diffraction line list, Cu Kα (weighted mean of Kα1 and Kα2). Input: a cell relaxed with GGA-PBE.
Lines closer than 0.1° are merged.

Crystal structure
Unit cell a=6.068 b=8.150 c=6.190 alpha=90.00 beta=92.66 gamma=90.00
Positions (direct):
Ce 0.000 0.000 0.000
Pa 0.500 0.259 0.500
Pa 0.500 0.741 0.500
Al 0.000 0.500 0.000
S 0.211 0.282 0.169
S 0.211 0.718 0.169
S 0.279 0.500 0.678
S 0.288 0.000 0.657
S 0.712 0.000 0.343
S 0.721 0.500 0.322
S 0.789 0.282 0.831
S 0.789 0.718 0.831

Top 8 peaks for 2θ = 10–80°, in order of rising 2θ:
Position (°2θ)  I_rel
20.03  100
21.00  90
26.19  58
26.35  75
29.78  45
38.95  44
39.30  45
49.60  52

***

2.
# Tl4SiSe4
Simulated powder diffraction line list, Cu Kα (weighted mean of Kα1 and Kα2). Input: a cell relaxed with GGA-PBE.
Lines closer than 0.1° are merged.

Crystal structure
Unit cell a=7.117 b=7.117 c=25.176 alpha=98.41 beta=98.41 gamma=63.13
Positions (direct):
Tl 0.000 0.000 0.000
Tl 0.000 0.000 0.500
Tl 0.055 0.341 0.664
Tl 0.096 0.680 0.175
Tl 0.175 0.825 0.750
Tl 0.277 0.351 0.500
Tl 0.320 0.904 0.325
Tl 0.341 0.055 0.164
Tl 0.351 0.277 0.000
Tl 0.649 0.723 0.000
Tl 0.659 0.945 0.836
Tl 0.680 0.096 0.675
Tl 0.723 0.649 0.500
Tl 0.825 0.175 0.250
Tl 0.904 0.320 0.825
Tl 0.945 0.659 0.336
Si 0.312 0.559 0.877
Si 0.441 0.688 0.623
Si 0.559 0.312 0.377
Si 0.688 0.441 0.123
Se 0.030 0.586 0.917
Se 0.107 0.708 0.618
Se 0.292 0.893 0.882
Se 0.306 0.398 0.791
Se 0.339 0.625 0.423
Se 0.375 0.661 0.077
Se 0.398 0.306 0.291
Se 0.414 0.970 0.583
Se 0.586 0.030 0.417
Se 0.602 0.694 0.709
Se 0.625 0.339 0.923
Se 0.661 0.375 0.577
Se 0.694 0.602 0.209
Se 0.708 0.107 0.118
Se 0.893 0.292 0.382
Se 0.970 0.414 0.083

Top 8 peaks for 2θ = 10–80°, in order of rising 2θ:
Position (°2θ)  I_rel
21.50  42
24.96  44
27.22  93
27.94  54
28.83  72
29.09  46
30.01  100
42.89  52
~~~
Rather than earning a degree with the title of physical science, you are likely to graduate with a bachelor’s degree in one of the specific disciplines that fall under the field of physical science. The field of physical science encompasses all of the natural sciences concerned with non-living...
statistics is used in almost every field. From psychology to tech, statistics is useful. At Mizzou there are many certificates from biostatistics to sport statistics that you can emphasize your degree in. Even without emphasis you can go into any field that needs to be analyzed. There are oppo...
Chinese students represent a substantial portion of the UK university student population, with most of them being postgraduates. However, whilst the UK rem
You will need a graduate degree. I recommend you look at the NCME website (ncme.org) with resources for students. Good luck! Already have a degree and looking for a job? Here’s the two sites that I recommend: NCME – Also has a job listings page that is really good (ncme.org)...
EG holds a degree in psychology and a PhD in health sciences and works as a senior researcher and associate professor in digital health. DL has two masters, one in public health and the other in telemedicine and eHealth and is working as a PhD candidate in health sciences. Several team ...